+++
(1)
# AcPm2Sm8 | Alexandria | PBE | relaxed
# ΔH_f (0 K): 1.463 eV/f.u.
# calculated volume: 797.22 Å³/cell
# D(E_F): 34.876 states/eV per cell
data_AcPm2Sm8
_chemical_formula_sum 'Ac2 Pm4 Sm16'
_cell_length_a 19.6258
_cell_length_b 7.1973
_cell_length_c 5.6557
_cell_angle_alpha 90.00
_cell_angle_beta 93.71
_cell_angle_gamma 90.00
_space_group_name_H-M_alt 'C 1 2/m 1'
_space_group_IT_number 12
_space_group_name_Hall '-C 2y'
loop_
_atom_site_label
_atom_site_type_symbol
_atom_site_fract_x
_atom_site_fract_y
_atom_site_fract_z
Ac1 Ac 0.0000 0.0000 0.0000
Pm1 Pm 0.2147 0.5000 0.2511
Sm1 Sm 0.0447 0.5000 0.2412
Sm2 Sm 0.1338 0.2689 0.7289
Sm3 Sm 0.1895 0.0000 0.2326

---

(2)
# SmPuMgTc | Alexandria | PBE | relaxed
# ΔH_f (0 K): 0.734 eV/f.u.
# calculated volume: 364.87 Å³/cell
# D(E_F): 38.116 states/eV per cell
data_SmPuMgTc
_chemical_formula_sum 'Sm4 Pu4 Mg4 Tc4'
_cell_length_a 7.1457
_cell_length_b 7.1457
_cell_length_c 7.1457
_cell_angle_alpha 90.00
_cell_angle_beta 90.00
_cell_angle_gamma 90.00
_space_group_name_H-M_alt 'F -4 3 m'
_space_group_IT_number 216
_space_group_name_Hall 'F -4 2 3'
loop_
_atom_site_label
_atom_site_type_symbol
_atom_site_fract_x
_atom_site_fract_y
_atom_site_fract_z
Sm1 Sm 0.0000 0.0000 0.0000
Pu1 Pu 0.0000 0.0000 0.5000
Mg1 Mg 0.2500 0.2500 0.7500
Tc1 Tc 0.2500 0.2500 0.2500

---

(3)
# NiSn2Pd | Alexandria | PBE | relaxed
# ΔH_f (0 K): -0.660 eV/f.u.
# calculated volume: 71.38 Å³/cell
# D(E_F): 2.280 states/eV per cell
data_NiSn2Pd
_chemical_formula_sum 'Ni1 Sn2 Pd1'
_cell_length_a 3.2732
_cell_length_b 3.2732
_cell_length_c 6.6621
_cell_angle_alpha 90.00
_cell_angle_beta 90.00
_cell_angle_gamma 90.00
_space_group_name_H-M_alt 'P 4/m m m'
_space_group_IT_number 123
_space_group_name_Hall '-P 4 2'
loop_
_atom_site_label
_atom_site_type_symbol
_atom_site_fract_x
_atom_site_fract_y
_atom_site_fract_z
Ni1 Ni 0.0000 0.0000 0.0000
Sn1 Sn 0.5000 0.5000 0.2363
Pd1 Pd 0.0000 0.0000 0.5000

---

(4)
# Tm3UFe8 | Alexandria | PBE | relaxed
# ΔH_f (0 K): -1.198 eV/f.u.
# calculated volume: 554.17 Å³/cell
# D(E_F): 47.450 states/eV per cell
data_Tm3UFe8
_chemical_formula_sum 'Tm9 U3 Fe24'
_cell_length_a 5.0928
_cell_length_b 5.0928
_cell_length_c 24.6716
_cell_angle_alpha 90.00
_cell_angle_beta 90.00
_cell_angle_gamma 120.00
_space_group_name_H-M_alt 'R 3 m'
_space_group_IT_number 160
_space_group_name_Hall 'R 3 -2"'
loop_
_atom_site_label
_atom_site_type_symbol
_atom_site_fract_x
_atom_site_fract_y
_atom_site_fract_z
Tm1 Tm 0.0000 0.0000 0.0000
Tm2 Tm 0.0000 0.0000 0.1254
Tm3 Tm 0.0000 0.0000 0.6249
U1 U 0.0000 0.0000 0.4975
Fe1 Fe 0.0000 0.0000 0.3129
Fe2 Fe 0.0000 0.0000 0.8130
Fe3 Fe 0.0007 0.5003 0.0635
Fe4 Fe 0.1670 0.3340 0.8954

---

(5)
# Si2OsPb | Alexandria | PBE | relaxed
# electronic total energy: -5.808 eV/atom
# calculated volume: 148.93 Å³/cell
# D(E_F): 5.970 states/eV per cell
data_Si2OsPb
_chemical_formula_sum 'Si4 Os2 Pb2'
_cell_length_a 3.1947
_cell_length_b 5.0503
_cell_length_c 9.2306
_cell_angle_alpha 90.00
_cell_angle_beta 90.00
_cell_angle_gamma 90.00
_space_group_name_H-M_alt 'C m m 2'
_space_group_IT_number 35
_space_group_name_Hall 'C 2 -2'
loop_
_atom_site_label
_atom_site_type_symbol
_atom_site_fract_x
_atom_site_fract_y
_atom_site_fract_z
Si1 Si 0.0000 0.0000 0.0000
Si2 Si 0.0000 0.5000 0.2083
Os1 Os 0.0000 0.5000 0.8136
Pb1 Pb 0.0000 0.0000 0.5288

---

(6)
# SrTcSb2 | Alexandria | PBE | relaxed
# electronic total energy: -5.055 eV/atom
# calculated volume: 366.72 Å³/cell
# D(E_F): 9.006 states/eV per cell
data_SrTcSb2
_chemical_formula_sum 'Sr4 Tc4 Sb8'
_cell_length_a 7.1578
_cell_length_b 7.1578
_cell_length_c 7.1578
_cell_angle_alpha 90.00
_cell_angle_beta 90.00
_cell_angle_gamma 90.00
_space_group_name_H-M_alt 'F m -3 m'
_space_group_IT_number 225
_space_group_name_Hall '-F 4 2 3'
loop_
_atom_site_label
_atom_site_type_symbol
_atom_site_fract_x
_atom_site_fract_y
_atom_site_fract_z
Sr1 Sr 0.0000 0.0000 0.0000
Tc1 Tc 0.0000 0.0000 0.5000
Sb1 Sb 0.2500 0.2500 0.2500

---

(7)
+++
Echo all of the material further up word for word.
(1)
# AcPm2Sm8 | Alexandria | PBE | relaxed
# ΔH_f (0 K): 1.463 eV/f.u.
# calculated volume: 797.22 Å³/cell
# D(E_F): 34.876 states/eV per cell
data_AcPm2Sm8
_chemical_formula_sum 'Ac2 Pm4 Sm16'
_cell_length_a 19.6258
_cell_length_b 7.1973
_cell_length_c 5.6557
_cell_angle_alpha 90.00
_cell_angle_beta 93.71
_cell_angle_gamma 90.00
_space_group_name_H-M_alt 'C 1 2/m 1'
_space_group_IT_number 12
_space_group_name_Hall '-C 2y'
loop_
_atom_site_label
_atom_site_type_symbol
_atom_site_fract_x
_atom_site_fract_y
_atom_site_fract_z
Ac1 Ac 0.0000 0.0000 0.0000
Pm1 Pm 0.2147 0.5000 0.2511
Sm1 Sm 0.0447 0.5000 0.2412
Sm2 Sm 0.1338 0.2689 0.7289
Sm3 Sm 0.1895 0.0000 0.2326

---

(2)
# SmPuMgTc | Alexandria | PBE | relaxed
# ΔH_f (0 K): 0.734 eV/f.u.
# calculated volume: 364.87 Å³/cell
# D(E_F): 38.116 states/eV per cell
data_SmPuMgTc
_chemical_formula_sum 'Sm4 Pu4 Mg4 Tc4'
_cell_length_a 7.1457
_cell_length_b 7.1457
_cell_length_c 7.1457
_cell_angle_alpha 90.00
_cell_angle_beta 90.00
_cell_angle_gamma 90.00
_space_group_name_H-M_alt 'F -4 3 m'
_space_group_IT_number 216
_space_group_name_Hall 'F -4 2 3'
loop_
_atom_site_label
_atom_site_type_symbol
_atom_site_fract_x
_atom_site_fract_y
_atom_site_fract_z
Sm1 Sm 0.0000 0.0000 0.0000
Pu1 Pu 0.0000 0.0000 0.5000
Mg1 Mg 0.2500 0.2500 0.7500
Tc1 Tc 0.2500 0.2500 0.2500

---

(3)
# NiSn2Pd | Alexandria | PBE | relaxed
# ΔH_f (0 K): -0.660 eV/f.u.
# calculated volume: 71.38 Å³/cell
# D(E_F): 2.280 states/eV per cell
data_NiSn2Pd
_chemical_formula_sum 'Ni1 Sn2 Pd1'
_cell_length_a 3.2732
_cell_length_b 3.2732
_cell_length_c 6.6621
_cell_angle_alpha 90.00
_cell_angle_beta 90.00
_cell_angle_gamma 90.00
_space_group_name_H-M_alt 'P 4/m m m'
_space_group_IT_number 123
_space_group_name_Hall '-P 4 2'
loop_
_atom_site_label
_atom_site_type_symbol
_atom_site_fract_x
_atom_site_fract_y
_atom_site_fract_z
Ni1 Ni 0.0000 0.0000 0.0000
Sn1 Sn 0.5000 0.5000 0.2363
Pd1 Pd 0.0000 0.0000 0.5000

---

(4)
# Tm3UFe8 | Alexandria | PBE | relaxed
# ΔH_f (0 K): -1.198 eV/f.u.
# calculated volume: 554.17 Å³/cell
# D(E_F): 47.450 states/eV per cell
data_Tm3UFe8
_chemical_formula_sum 'Tm9 U3 Fe24'
_cell_length_a 5.0928
_cell_length_b 5.0928
_cell_length_c 24.6716
_cell_angle_alpha 90.00
_cell_angle_beta 90.00
_cell_angle_gamma 120.00
_space_group_name_H-M_alt 'R 3 m'
_space_group_IT_number 160
_space_group_name_Hall 'R 3 -2"'
loop_
_atom_site_label
_atom_site_type_symbol
_atom_site_fract_x
_atom_site_fract_y
_atom_site_fract_z
Tm1 Tm 0.0000 0.0000 0.0000
Tm2 Tm 0.0000 0.0000 0.1254
Tm3 Tm 0.0000 0.0000 0.6249
U1 U 0.0000 0.0000 0.4975
Fe1 Fe 0.0000 0.0000 0.3129
Fe2 Fe 0.0000 0.0000 0.8130
Fe3 Fe 0.0007 0.5003 0.0635
Fe4 Fe 0.1670 0.3340 0.8954

---

(5)
# Si2OsPb | Alexandria | PBE | relaxed
# electronic total energy: -5.808 eV/atom
# calculated volume: 148.93 Å³/cell
# D(E_F): 5.970 states/eV per cell
data_Si2OsPb
_chemical_formula_sum 'Si4 Os2 Pb2'
_cell_length_a 3.1947
_cell_length_b 5.0503
_cell_length_c 9.2306
_cell_angle_alpha 90.00
_cell_angle_beta 90.00
_cell_angle_gamma 90.00
_space_group_name_H-M_alt 'C m m 2'
_space_group_IT_number 35
_space_group_name_Hall 'C 2 -2'
loop_
_atom_site_label
_atom_site_type_symbol
_atom_site_fract_x
_atom_site_fract_y
_atom_site_fract_z
Si1 Si 0.0000 0.0000 0.0000
Si2 Si 0.0000 0.5000 0.2083
Os1 Os 0.0000 0.5000 0.8136
Pb1 Pb 0.0000 0.0000 0.5288

---

(6)
# SrTcSb2 | Alexandria | PBE | relaxed
# electronic total energy: -5.055 eV/atom
# calculated volume: 366.72 Å³/cell
# D(E_F): 9.006 states/eV per cell
data_SrTcSb2
_chemical_formula_sum 'Sr4 Tc4 Sb8'
_cell_length_a 7.1578
_cell_length_b 7.1578
_cell_length_c 7.1578
_cell_angle_alpha 90.00
_cell_angle_beta 90.00
_cell_angle_gamma 90.00
_space_group_name_H-M_alt 'F m -3 m'
_space_group_IT_number 225
_space_group_name_Hall '-F 4 2 3'
loop_
_atom_site_label
_atom_site_type_symbol
_atom_site_fract_x
_atom_site_fract_y
_atom_site_fract_z
Sr1 Sr 0.0000 0.0000 0.0000
Tc1 Tc 0.0000 0.0000 0.5000
Sb1 Sb 0.2500 0.2500 0.2500

---

(7)